HL Deb 04 March 1975 vol 357 cc1198-203

[Nos. 3 to 6]

Clause 1, page 2, line 34, at end insert— ( ) An expedited acquisition order shall not be made in respect of any land or part thereof which has been declared to be inalienable by virtue of any enactment.

The Commons disagreed with this Amendment for the following Reason:—

Because the possibility cannot be excluded that land which is inalienable might have ta be acquired urgently under the Bill.

Clause 12, page 10, line 41, leave out sub-section (3).

The Commons disagreed to this Amendment for the following Reason:—

The page is interrupted by crystal structures:
+++
Here is a relaxed structure of K6Hg3F14 from the Alexandria database. Energies are from GGA-PBE.

Unit cell a=6.253 b=9.382 c=9.382 alpha=120.00 beta=90.00 gamma=90.00
Each line ends with the local moment (μB).
Sites, in units of the cell vectors:
K (0.267, 0.781, 0.045)  0.00
K (0.267, 0.955, 0.736)  0.00
K (0.267, 0.264, 0.219)  0.00
K (0.796, 0.539, 0.577)  0.00
K (0.796, 0.423, 0.962)  0.00
K (0.796, 0.038, 0.461)  0.00
Hg (0.802, 0.000, 0.000)  0.03
Hg (0.339, 0.333, 0.667)  0.05
Hg (0.417, 0.667, 0.333)  0.44
F (0.003, 0.042, 0.216)  0.05
F (0.003, 0.784, 0.826)  0.05
F (0.003, 0.174, 0.958)  0.05
F (0.536, 0.258, 0.442)  0.07
F (0.536, 0.558, 0.817)  0.07
F (0.536, 0.183, 0.742)  0.07
F (0.462, 0.000, 0.000)  0.01
F (0.997, 0.333, 0.667)  0.02
F (0.619, 0.749, 0.204)  0.21
F (0.619, 0.796, 0.545)  0.21
F (0.619, 0.455, 0.251)  0.21
F (0.221, 0.586, 0.467)  0.21
F (0.221, 0.533, 0.119)  0.21
F (0.221, 0.881, 0.414)  0.21

Properties
**E_tot**: -3.501 eV/atom
**Magnetic moment**: 0.10 μB/atom
**Uncorrected formation energy**: -2.036 eV/atom
**Symmetry**: P3, No. 143


Here is a relaxed structure of KHgF3 from the Alexandria database. Energies are from GGA-PBE.

Unit cell a=3.692 b=6.818 c=7.467 alpha=90.00 beta=90.42 gamma=90.00
Sites, in units of the cell vectors:
K (0.752, 0.250, 0.650)
K (0.248, 0.750, 0.350)
Hg (0.743, 0.250, 0.160)
Hg (0.257, 0.750, 0.840)
F (0.255, 0.448, 0.844)
F (0.745, 0.552, 0.156)
F (0.255, 0.052, 0.844)
F (0.745, 0.948, 0.156)
F (0.247, 0.250, 0.387)
F (0.753, 0.750, 0.613)

Properties
**E_tot**: -3.346 eV/atom
**Magnetic moment**: 0.00 μB/atom
**Uncorrected formation energy**: -1.943 eV/atom
**Symmetry**: P2_1/m, No. 11

~~~~~

A plane-wave DFT calculation with PBE was carried out for a geometry-optimized Al3MoSe structure.

The structure in POSCAR format:
```
Al3MoSe
1.0
-1.785 2.840 -3.622
2.657 -2.536 -3.298
-3.758 -3.142 -0.612
Se Al Mo
1 3 1
Direct
0.500 0.500 0.500
0.500 0.000 0.000
0.000 0.500 0.000
0.000 0.000 0.500
0.000 0.000 0.000
```

Raw formation energy in eV per atom: 0.761
Raw total energy in eV for the cell shown: -21.736

~~~~~

The following is a DFT calculation (PBE) of crystalline LaDyMgSn at its relaxed geometry.

abc: 7.673 7.673 7.673
angles: 90.00 90.00 90.00
Space group F-43m (No. 216)
Symmetry-distinct sites (fractional):
La: 0.000 0.000 0.000 x4
Dy: 0.000 0.000 0.500 x4
Mg: 0.250 0.250 0.250 x4
Sn: 0.250 0.250 0.750 x4

Properties
E_tot: -67.40 eV/cell

***

The following is a DFT calculation (PBE) of crystalline La2TbDy2Mg5 at its relaxed geometry.

abc: 10.653 10.653 5.122
angles: 90.00 90.00 90.00
Space group P4/mbm (No. 127)
Symmetry-distinct sites (fractional):
La: 0.176 0.324 0.000 x4
Tb: 0.000 0.000 0.000 x2
Dy: 0.121 0.621 0.000 x4
Mg: 0.000 0.500 0.500 x2
Mg: 0.071 0.802 0.500 x8

Properties
E_tot: -63.23 eV/cell

***

The following is a DFT calculation (PBE) of crystalline LaTb2Dy6Mg at its relaxed geometry.

abc: 10.003 19.271 6.669
angles: 90.00 98.56 90.00
+++

Because the possibility cannot be excluded that land which is inalienable might have ta be acquired urgently under the Bill.

3.11 p.m.


My Lords, with permission I should like to speak to Amendments Nos. 3 and 5. I beg to move that this House doth not insist on their Amendment No. 3, to which the Commons have disagreed for Reason No. 4, and that this House doth not insist on their Amendment No. 5, to which the Commons have disagreed for Reason No. 6; in both cases because the possibility cannot be excluded that land which is inalienable might have to be acquired urgently under the Bill. In the proceedings on the Bill the substance of these Amendments has now been fully debated on four separate occasions; once in this House at Committee stage, and in another place at both Committee and Report stages and on consideration of Lords Amendments.

In asking your Lordships not to insist on these Amendments in the face of disagreement in another place, the Government's position is as follows. Although the Government have no plans at present to acquire for the purposes of the Bill any land held inalienably by the National Trust for Scotland, we cannot rule out the possibility that such land might be required urgently in the future. Acceptance of the Amendments would rule out the use of an expedited acquisition order and, although a compulsory purchase order could be used, it would be subject to special Parliamentary procedure which would cause an unacceptable delay. Failure to provide for the compulsory acquisition of inalienable land by expedited acquisition order could prove to be a serious handicap at some time in the future. There could arise a case where the national interest, in terms of acquiring land quickly for a crucial oil development, had to be weighed against the benefit to the nation as represented by the National Trust's tenure of inalienable land. Through the Affirmative Resolution procedure, Parliament will be able to look at the merits of each case and resolve any such conflict.

Any expedited acquisition order dealing with inalienable land will be subject to the hybridity procedures of this House, as they are applied by the Amendment which your Lordships made on Third Reading. This will afford additional protection to the Trust and I hope will go a long way to meet the fears which they have expressed. The Amendment seeks a blanket exemption for all National Trust inalienable land, present and future. To agree would be to prejudge the national interest issue now, and would apply acceptance of the fact that whatever unforeseen situations may arise in future the inalienability of National Trust land must, in respect of urgent oil-related developments, remain forever inviolate. In these uncertain times that concept is one which the Government would find it difficult to justify.

The Bill does not strike at the concept of inalienability of land in general; it aims to apply a special procedure with appropriate planning, and Parliamentary safeguards to any areas of land which are urgently needed for a narrow range of special purposes. The Bill has no effect whatever on land which is not touched by oil-related developments. The Executive Council of the National Trust for Scotland have offered to consult with the Government on future declarations of inalienability. We have taken up that offer and will be getting in touch with the Trust very soon to work out the details of such an exercise. As I indicated at Report stage, such consultations could at the very least identify areas which are unlikely to be needed for oil development and which the Trust could confidently declare inalienable, if they so wished. The Government have tried to be as helpful as possible in this matter and have thought long and hard about it, as I know your Lordships also have done.

I should particularly like to pay tribute to the wholly constructive approach to this important provision, which moved your Lordships to give the other place an opportunity to examine it again in the light of your Lordships' own views and of the many strongly held beliefs voiced in both Houses and outwith Parliament. But I know that in these circumstances your Lordships will be very conscious of the implications for this legislation of any decision of your Lordships' House to overturn a provision on which the will of the other place has twice been expressed. I therefore ask your Lordships not to insist on the Amendments. I beg to move.

Moved, That this House doth not insist on their Amendments Nos. 3 and 5 to which the Commons have disagreed.— (Lord Hughes.)

3.17 p.m.


My Lords, I and my noble friends believe that in asking your Lordships to agree to overturn a decision which they have previously made the Government are breaching for the first time the legal method by which your Lordships can already overturn inalienability. I believe that that is a fundamental error, and the only gain is the saving of perhaps a few short weeks. In so doing the Government undermine the confidence in the National Trust of those who were considering donating land and properly, and that may not now be given because donors will feel that what can be done once may be done again. As the noble Lord, Lord Hughes, said, both he and Mr. Bruce Millan in another place have been most co-operative in seeking a solution. The delay of 28 days before the expedited acquisition order procedure can be applied is an additional safeguard provided by the Government at Third Reading in your Lordships' House. So I and those for whom I speak accept the position, and will do all in our power to prove that our fears are groundless. We hope that from now on closer co-operation with St. Andrew's House may prevent those acquisition crises, which we feared might happen with such disastrous results to Scotland and indeed to England, before they arise.


My Lords, on these two Amendments, also, we regret that the other place has not agreed with our views, though there has been some amelioration in another Amendment which the other place accepted, as the noble Lord, Lord Hughes, has reminded us, over the hybridity arrangements. That was a great improvement on the previous subsection in the Bill, which we dropped. But we regret that the procedure for considering inalienable land, including a Joint Committee of both Houses, has not been retained and I join my noble friend Lord Craigton in being disappointed. Both National Trusts for England and Wales and for Scotland have made it clear that they do not regard inalienable land as exempt from compulsory purchase, provided that decisions are taken by Parliament in accordance with the previously stipulated procedure. We do not think that that procedure need have been discarded for the purposes of the Bill, and we are sorry that the other place has not agreed.


My Lords, this is a matter which is of considerable importance to all of us and I find myself in some sympathy with what has been said by the noble Lords, Lord Craigton and Lord Campbell of Croy. I think that there is little doubt that one wants to see that land is kept inalienable; but, at the same time, there is the highly important question of the development for a specific purpose. I do not know whether my noble friend Lord Hughes can enlighten me on this, but I understood from the Bill that where land is taken it is not taken permanently; it is taken for a specific purpose and when that purpose is achieved the land returns to its original state. It seems to me—and I hope that I am right in this—that although the land is called inalienable and although it is taken for a specific purpose, it returns to its inalienable state after that purpose has been fulfilled. If I am right on this, then the position is fully defended; but, at the same time, I can fully understand the noble Lord, Lord Craigton, and others being a little anxious about it. I hope that we can say that the present state of the Bill clarifies the matter for those of us who can be worried about the situation.


My Lords, I am grateful for the way in which the noble Lords, Lord Craigton and Lord Campbell of Croy, have spoken. What they have said is very much in line with what the National Trust for Scotland have done. My honourable friend the Minister of State kept the National Trust very much in touch with what was taking place in the later stages. If I may quote extracts from the last letter from the Trust to Mr. Millan, it shows exactly how the noble Lord, Lord Craigton, was echoing his position. They say in the third paragraph: The Trust in accepting the situation as it stands today "— that is, after the Commons voted not to agree with the Lords Amendments— must of course express its deep regret that the Government did not feel convinced in accepting the arguments advanced both in the Commons at an earlier stage and throughout the three debates in the House of Lords ". Further on, they say: Indeed, support for the Trust has been reinforced in recent months thanks to the decision made by the Secretary of State over Drambuie over which issue the Trust was joined by Ross and Cromarty County Council and local opinion including the crofting township most directly concerned. The letter goes on: The contingency of extreme urgency over some site in the future should, it is very much hoped, be remote but in any event it should be capable of solution as a result of the prior consultations to which you refer in the penultimate paragraph of your letter. On this point I am glad to be able to report to you that the undertaking given by the Trust's President, Lord Wemyss, in the House of Lords during the Report stage on Tuesday, February 18th, was fully endorsed by the Council meeting yesterday. The Council was anxious to ensure that the maximum degree of mutual confidence existed between the Government and the Trust in the pursuit of its many aims and objectives. Thank you for undertaking to ask officials of the SDD to get in touch with us in order to work out appropriate machinery. My Lords, in regard to the point made by my noble friend, obviously I cannot refer to any precedent because it has rarely happened in Scotland that this position has arisen; but I must point out that he is not totally correct. It will not follow that all land will be returned to its original state; there could well be circumstances in which it would be in the national interest that the land should continue in (shall we say?) industrial use. Obviously, however, in a case where inalienable land was no longer required for the purposes and was to be returned to its original state, I do not think that there is the slightest doubt that it will be returned to the National Trust in, I hope, as near as may be the state in which it was originally taken over. I hope that that partial point will satisfy my noble friend Lord Wynne-Jones.

On Question, Motion agreed to.